Saturday, January 23, 2010

Pushing It

If you had ask me 6 months ago if I could run 6 miles, the answer would have been no.  An emphatic NO, with a "why would anyone want to do that" added to the end!  And I couldn't have imagined getting up before 6 am on a Saturday morning and running 6 miles.  However, that's what I did this morning, and I love it!

'''
Calculated X-ray diffraction stick pattern of Na2UCuS4 for Cu Kα (λ = 1.5418 Å), from the GGA-PBE geometry in Alexandria.

The 10 most intense peaks (10° ≤ 2θ ≤ 80°), sorted by position:
| hkl | 2θ/deg | I_rel |
| --- | --- | --- |
| 0 0 1 | 13.04 | 100.0 |
| 1 0 0 | 14.93 | 25.2 |
| 1 0 -1 | 16.96 | 17.4 |
| 1 1 0 | 26.77 | 34.4 |
| 1 1 -1 | 27.98 | 21.3 |
| 1 1 1 | 31.69 | 78.3 |
| 2 0 -2 | 34.30 | 29.4 |
| 1 1 -3 | 44.85 | 25.9 |
| 0 2 0 | 45.06 | 14.4 |
| 3 1 -1 | 49.83 | 20.4 |

Structural model:
a b c (Å): 6.1656 4.0237 7.0552
angles (deg): 90.00 105.82 90.00
Space group P2/m (No. 10)
Unique sites:
Na1 0.0000 0.0000 0.0000 (multiplicity 1)
Na2 0.5000 0.5000 0.0000 (multiplicity 1)
U1 0.0000 0.5000 0.5000 (multiplicity 1)
Cu1 0.5000 0.0000 0.5000 (multiplicity 1)
S1 0.2348 0.5000 0.2594 (multiplicity 2)
S2 0.2580 0.0000 0.7036 (multiplicity 2)

* * * * *

Structure and calculated PXRD pattern of Li2FePCO7 (DFT lattice parameters and positions (PBE+U); a wavelength of 1.5418 Å).

Cell and atoms:
```
data_Li2FePCO7
_chemical_formula_sum 'Li8 Fe4 P4 C4 O28'
_cell_length_a 6.5042
_cell_length_b 9.3748
_cell_length_c 10.1178
_cell_angle_alpha 62.76
_cell_angle_beta 89.64
_cell_angle_gamma 89.35
_symmetry_space_group_name_H-M 'P 1'
_symmetry_Int_Tables_number 1
_symmetry_space_group_name_Hall 'P 1'
loop_
_atom_site_label
_atom_site_fract_x
_atom_site_fract_y
_atom_site_fract_z
Li1 0.0000 0.0000 0.0000
Li2 0.0019 0.4987 0.4995
Li3 0.0649 0.4750 0.9722
Li4 0.2850 0.8188 0.8076
Li5 0.2884 0.3202 0.3060
Li6 0.4961 0.9750 0.4722
Li7 0.7664 0.6538 0.1651
Li8 0.7794 0.1535 0.6678
Fe1 0.2913 0.2514 0.8018
Fe2 0.2934 0.7515 0.3019
Fe3 0.7776 0.2211 0.1737
Fe4 0.7861 0.7211 0.6731
P1 0.2763 0.6380 0.6663
P2 0.2786 0.1379 0.1658
P3 0.7842 0.8346 0.3088
P4 0.7918 0.3345 0.8091
C1 0.2609 0.6564 0.1084
C2 0.2843 0.1563 0.6075
C3 0.7874 0.3173 0.3674
C4 0.7917 0.8171 0.8669
O1 0.0934 0.7351 0.6852
O2 0.0975 0.2400 0.1812
O3 0.2487 0.6192 0.0033
O4 0.2581 0.1249 0.0200
O5 0.2581 0.8068 0.0832
O6 0.2589 0.3058 0.5825
O7 0.2647 0.6246 0.5203
O8 0.2684 0.4649 0.7985
O9 0.2801 0.5517 0.2495
O10 0.2885 0.9651 0.2983
O11 0.2898 0.0513 0.7492
O12 0.3079 0.1206 0.5020
O13 0.4671 0.7330 0.6732
O14 0.4714 0.2285 0.1748
O15 0.5951 0.2536 0.7914
O16 0.5975 0.7506 0.2795
O17 0.7531 0.8488 0.4538
O18 0.7579 0.1684 0.3929
O19 0.7724 0.9215 0.7259
O20 0.7882 0.6663 0.8930
O21 0.7919 0.4219 0.2255
O22 0.8046 0.3486 0.9550
O23 0.8118 0.3529 0.4727
O24 0.8132 0.0068 0.1781
O25 0.8131 0.8543 0.9716
O26 0.8142 0.5066 0.6768
O27 0.9676 0.2239 0.8018
O28 0.9695 0.7273 0.3124
```

The 10 most intense peaks (2θ = 15–90°), in order of rising 2θ:
d_spacing  I/Imax  index
5.144  19  1 1 1
5.092  19  -1 1 1
4.498  49  0 0 2
4.167  65  0 2 0
3.494  16  1 -2 0
3.352  35  0 1 3
3.252  100  2 0 0
2.533  16  0 2 -2
2.483  21  0 1 -3
1.626  14  4 0 0

* * * * *

(1)
'''

I still haven't found the elusive "runner's high".  But what I have found are some great people, self confidence and an awesome way to burn a lot of calories!  The best part about running with a group is the way we encourage each other.  The first two miles of every run makes me want to quit.  But being with a group of other runners keeps me going.  

Today's run was especially good.  I'm not sure if it was the mild weather or because I've finally started properly hydrating, but I'm thankful either way.  At the end Joe suggested we push it for our last 3 minute running interval.  Ummm....I've ran over 5 miles me that IS pushing it.  However, I did push it.  We ran faster and felt great about the way we finished.  

Here are the two major motivators for me to push it a little harder at the end of today's run.  

Chick-n-minis, who wouldn't be inspired!

Ahhhh, my personal favorite.  

Saturday, January 16, 2010

Second Run

What a difference a week makes.  The weather today was awesome!  I'd prefer it a little warmer...i like the shorts and tank top weather, but today was much better than 14 degrees and snow from last week.

Next to the text, the page also holds crystal structures:
=====
Computed powder diffraction line list
Compound: Bi2B2O7
Radiation: CuKα
Structure: a GGA-PBE-relaxed structure

Top 6 peaks for 2θ = 10–90°, sorted by position:
| 2θ (°) | I/Imax |
| --- | --- |
| 11.87 | 100 |
| 18.42 | 69 |
| 21.74 | 90 |
| 22.04 | 92 |
| 24.86 | 68 |
| 31.58 | 64 |

Structure:
a = 5.576 Å, b = 8.240 Å, c = 8.630 Å
α = 112.99°, β = 99.44°, γ = 95.87°
Element x y z (fractional)
Bi (0.090, 0.212, 0.448)
Bi (0.305, 0.526, 0.165)
Bi (0.695, 0.474, 0.835)
Bi (0.910, 0.788, 0.552)
B (0.176, 0.252, 0.839)
B (0.388, 0.620, 0.633)
B (0.612, 0.380, 0.367)
B (0.824, 0.748, 0.161)
O (0.004, 0.320, 0.934)
O (0.084, 0.977, 0.962)
O (0.114, 0.131, 0.668)
O (0.267, 0.706, 0.542)
O (0.269, 0.478, 0.662)
O (0.360, 0.328, 0.299)
O (0.420, 0.320, 0.934)
O (0.580, 0.680, 0.066)
O (0.640, 0.672, 0.701)
O (0.731, 0.522, 0.338)
O (0.733, 0.294, 0.458)
O (0.886, 0.869, 0.332)
O (0.916, 0.023, 0.038)
O (0.996, 0.680, 0.066)


Computed powder diffraction line list
Compound: Cd2CuGeS4
Radiation: CuKα
Structure: a GGA-PBE-relaxed structure

Top 6 peaks for 2θ = 10–90°, sorted by position:
| 2θ (°) | I/Imax |
| --- | --- |
| 25.02 | 59 |
| 27.48 | 67 |
| 28.60 | 100 |
| 29.34 | 38 |
| 45.09 | 48 |
| 49.29 | 51 |

Structure:
a = 8.313 Å, b = 6.893 Å, c = 6.491 Å
α = 90.00°, β = 90.00°, γ = 90.00°
Element x y z (fractional)
Cd (0.248, 0.176, 0.000)
Cd (0.252, 0.824, 0.500)
Cd (0.748, 0.824, 0.500)
Cd (0.752, 0.176, 0.000)
Cu (0.000, 0.341, 0.501)
Cu (0.500, 0.659, 0.001)
Ge (0.000, 0.685, 0.990)
Ge (0.500, 0.315, 0.490)
S (0.000, 0.359, 0.860)
S (0.000, 0.651, 0.360)
S (0.229, 0.185, 0.396)
S (0.271, 0.815, 0.896)
S (0.500, 0.349, 0.860)
S (0.500, 0.641, 0.360)
S (0.729, 0.815, 0.896)
S (0.771, 0.185, 0.396)


Computed powder diffraction line list
Compound: Tm4AuSe5
Radiation: CuKα
Structure: a GGA-PBE-relaxed structure

Top 6 peaks for 2θ = 10–90°, sorted by position:
| 2θ (°) | I/Imax |
| --- | --- |
| 10.45 | 25 |
| 10.68 | 49 |
| 30.54 | 100 |
| 31.72 | 44 |
| 43.93 | 40 |
| 45.29 | 29 |

Structure:
a = 9.052 Å, b = 9.052 Å, c = 8.640 Å
α = 106.18°, β = 106.18°, γ = 25.42°
Element x y z (fractional)
Tm (0.003, 0.003, 0.272)
Tm (0.321, 0.321, 0.891)
Tm (0.679, 0.679, 0.109)
Tm (0.997, 0.997, 0.728)
Au (0.500, 0.500, 0.000)
Se (0.161, 0.161, 0.862)
Se (0.162, 0.162, 0.316)
Se (0.500, 0.500, 0.500)
Se (0.838, 0.838, 0.684)
Se (0.839, 0.839, 0.138)


Computed powder diffraction line list
Compound: Cs3Tl6Au5
Radiation: CuKα
Structure: a GGA-PBE-relaxed structure

Top 6 peaks for 2θ = 10–90°, sorted by position:
| 2θ (°) | I/Imax |
| --- | --- |
| 13.75 | 49 |
| 28.01 | 32 |
| 29.09 | 100 |
| 35.33 | 31 |
| 37.90 | 47 |
| 38.00 | 30 |

Structure:
a = 4.748 Å, b = 15.461 Å, c = 12.884 Å
α = 90.00°, β = 90.00°, γ = 90.00°
Element x y z (fractional)
Cs (0.250, 0.103, 0.241)
Cs (0.250, 0.397, 0.241)
Cs (0.250, 0.750, 0.276)
Cs (0.750, 0.250, 0.724)
Cs (0.750, 0.603, 0.759)
Cs (0.750, 0.897, 0.759)
Tl (0.250, 0.053, 0.597)
Tl (0.250, 0.250, 0.477)
=====

Today's run was five miles, ok so it was just a touch shorter, but i see no reason not to say 5 miles.  After all, I did have to walk to and from my car.  

Next to the entry, the page also holds materials data
=====
# 1
Starting from a DFT-relaxed cell (PBE, Alexandria), the PXRD pattern of Ag2BiAuCl6 was simulated for Cu Kα (λ = 1.5418 Å).

Structural model:
abc: 6.946 7.351 7.478
angles: 106.29 112.83 107.02
Element x y z (fractional)
Ag 0.000 0.000 0.000
Ag 0.295 0.605 0.887
Bi 0.974 0.536 0.293
Au 0.459 0.021 0.262
Cl 0.004 0.330 0.944
Cl 0.163 0.327 0.468
Cl 0.420 0.863 0.481
Cl 0.520 0.198 0.063
Cl 0.739 0.736 0.070
Cl 0.965 0.700 0.663

Main lines, low angle first (2θ from 10° to 90°):
2θ 14.37, rel. 100; 2θ 15.53, rel. 92; 2θ 20.05, rel. 77; 2θ 20.92, rel. 90; 2θ 22.33, rel. 49; 2θ 25.40, rel. 44; 2θ 26.87, rel. 48; 2θ 31.36, rel. 52; 2θ 31.48, rel. 66; 2θ 36.07, rel. 41

---

# 2
Starting from a DFT-relaxed cell (PBE, Alexandria), the PXRD pattern of In2Ag7Bi2Au was simulated for Cu Kα (λ = 1.5418 Å).

Structural model:
abc: 4.101 4.101 15.979
angles: 96.97 96.97 90.06
Element x y z (fractional)
In 0.129 0.129 0.270
In 0.871 0.871 0.730
Ag 0.000 0.000 0.000
Ag 0.064 0.564 0.136
Ag 0.222 0.222 0.455
Ag 0.436 0.936 0.864
Ag 0.564 0.064 0.136
Ag 0.778 0.778 0.545
Ag 0.936 0.436 0.864
Bi 0.326 0.326 0.639
Bi 0.674 0.674 0.361
Au 0.500 0.500 0.000

Main lines, low angle first (2θ from 10° to 90°):
2θ 30.83, rel. 54; 2θ 31.34, rel. 35; 2θ 35.23, rel. 35; 2θ 35.35, rel. 68; 2θ 35.53, rel. 33; 2θ 38.22, rel. 52; 2θ 38.46, rel. 64; 2θ 38.55, rel. 24; 2θ 44.17, rel. 100; 2θ 64.24, rel. 32

---

# 3
Starting from a DFT-relaxed cell (PBE, Alexandria), the PXRD pattern of LiAgBiAu was simulated for Cu Kα (λ = 1.5418 Å).

Structural model:
abc: 5.168 5.168 5.168
angles: 129.10 129.10 74.85
Element x y z (fractional)
Li 0.000 0.000 0.000
Ag 0.750 0.250 0.500
Bi 0.250 0.750 0.500
Au 0.500 0.500 0.000

Main lines, low angle first (2θ from 10° to 90°):
2θ 22.77, rel. 52; 2θ 36.01, rel. 100; 2θ 38.65, rel. 14; 2θ 40.63, rel. 36; 2θ 44.13, rel. 14; 2θ 47.07, rel. 16; 2θ 58.81, rel. 12; 2θ 61.53, rel. 21; 2θ 70.92, rel. 28; 2θ 75.86, rel. 12

---

# 4
Starting from a DFT-relaxed cell (PBE, Alexandria), the PXRD pattern of NaAgBiAu was simulated for Cu Kα (λ = 1.5418 Å).

Structural model:
abc: 5.030 5.030 5.030
angles: 60.00 60.00 60.00
Element x y z (fractional)
Na 0.000 0.000 0.000
Ag 0.750 0.750 0.750
Bi 0.500 0.500 0.500
Au 0.250 0.250 0.250

Main lines, low angle first (2θ from 10° to 90°):
2θ 21.64, rel. 31; 2θ 35.70, rel. 100; 2θ 42.13, rel. 18; 2θ 51.38, rel. 18; 2θ 56.38, rel. 8; 2θ 64.13, rel. 36; 2θ 68.54, rel. 6; 2θ 75.62, rel. 11; 2θ 79.75, rel. 6; 2θ 86.53, rel. 17
=====

After running with the 4/1's last week, they were a little fast for me.  Luckily when I got there this morning, a group from my No Boundaries group was there and had decided to run 4/1 but at a slower pace.  I was more than happy to join them!  We had an awesome run!  

Thanks Joe, Gail, Carol, Christina and Corey for a great run today.  Joe lead the way and did a great job.  A positive attitude makes all the difference!  

For anyone who has not been to Ravenwood High School, beware of the speed bumps (actually they are more like mini mountains, at least they are when you don't see them coming and hit them at 40 miles an hour...YIKES)!

Saturday, January 9, 2010

The First Run

Today was my first run training for the Country Music Half Marathon. I'm doing my training with the Fleet Feet...I highly recommend them for any running/walking needs you have.

The run for today was supposed to be an easy 4 miles, however mother nature had a little surprise in store for us. Though the snow was should have quit on Thursday, at least according to our weather people, I woke up to a fresh coat of snow on my car. Briefly, I thought about staying in and putting in my four miles on the treadmill. But I was already dressed and thought I would at least meet the group and check in since it was the first day. If it was too bad I could always skip the run.

I had been preparing to run in the freezing cold, but I had not been preparing to run in the snow. My biggest fear was slipping and falling...even on flat dry surfaces, I'm not exactly what most people would consider coordinated.

After signing in, I decided to at least start the run. Bargaining with myself, I decided if it was awful I could turn around. I started out in the interval group running 6 min and walking 1 min. But they proved to be way too fast for me. I fell back to the 4/1 group. It was a much better fit.
I made it the whole four miles, in the snow, uphill both ways. OK, so maybe not uphill both ways, but there were times it certainly felt like it!

Thanks to Rebecca, Erin, and Christina for starting with me...and to Christina who joined me in the 4/1 group and then we progressed/regressed to the back of that group. Judd is an excellent leader and came back for us at the end. It was a great start...and I'm looking forward to next Saturday...well as much as you can look forward to waking up at 6 in the morning on a Saturday and braving the freezing cold. But it will be worth it!